**Contents:**
┌──
Record 1
# BaLiSn3
Calculated powder X-ray diffraction pattern, Cu Kα X-rays. Input: a GGA-PBE-relaxed structure.

Crystal structure
a b c (Å): 4.771 5.189 11.801
angles (deg): 90.00 90.00 90.00
Space group Imm2 (No. 44)
One atom of each set of equivalent atoms:
1 Ba 0.000 0.000 0.000 (multiplicity 2)
2 Li 0.000 0.000 0.636 (multiplicity 2)
3 Sn 0.000 0.000 0.402 (multiplicity 2)
4 Sn 0.000 0.500 0.259 (multiplicity 2)
5 Sn 0.000 0.500 0.745 (multiplicity 2)

Main lines, low angle first (5 to 70 degrees two-theta):
2θ/deg	I_rel	(hkl)
15.0	12	0 0 2
28.5	10	0 1 3
29.4	15	1 0 3
29.6	100	1 1 2
30.3	10	0 0 4
34.6	23	0 2 0
37.7	18	2 0 0
39.9	13	1 1 4
42.1	10	0 1 5
52.1	15	2 2 0
58.9	17	1 3 2
63.1	12	3 1 2

---

Record 2
# PrSn4
Calculated powder X-ray diffraction pattern, Cu Kα X-rays. Input: a GGA-PBE-relaxed structure.

Crystal structure
a b c (Å): 4.695 6.585 18.113
angles (deg): 90.00 90.00 90.00
Space group Imma (No. 74)
One atom of each set of equivalent atoms:
1 Pr 0.000 0.250 0.094 (multiplicity 4)
2 Sn 0.000 0.000 0.500 (multiplicity 4)
3 Sn 0.000 0.014 0.694 (multiplicity 8)
4 Sn 0.000 0.250 0.903 (multiplicity 4)

Main lines, low angle first (5 to 70 degrees two-theta):
2θ/deg	I_rel	(hkl)
31.2	97	1 0 5
33.6	100	1 2 1
38.3	29	2 0 0
40.5	29	0 2 6
50.4	12	0 0 10
51.9	15	2 2 4
57.0	29	2 2 6
64.9	12	3 0 5
65.0	11	2 0 10
65.4	23	1 4 5
66.3	11	3 2 1
66.5	17	1 2 11

---

Record 3
# GaCu2AsO6
Calculated powder X-ray diffraction pattern, Cu Kα X-rays. Input: a GGA-PBE-relaxed structure.

Crystal structure
a b c (Å): 9.705 8.788 5.156
angles (deg): 90.00 97.45 90.00
Space group C2/c (No. 15)
One atom of each set of equivalent atoms:
1 Ga 0.000 0.089 0.250 (multiplicity 4)
2 Cu 0.183 0.409 0.298 (multiplicity 8)
3 As 0.000 0.261 0.750 (multiplicity 4)
4 O 0.102 0.242 0.077 (multiplicity 8)
5 O 0.106 0.090 0.621 (multiplicity 8)
6 O 0.122 0.398 0.640 (multiplicity 8)

Main lines, low angle first (5 to 70 degrees two-theta):
2θ/deg	I_rel	(hkl)
18.4	30	2 0 0
27.5	29	2 2 0
29.6	90	3 1 0
31.3	39	2 2 -1
32.6	28	3 1 -1
34.0	69	2 2 1
35.1	59	0 0 2
36.0	100	1 3 -1
43.5	28	3 1 -2
58.2	30	5 3 -1
62.4	39	5 3 1
62.7	40	1 3 -3

=====

(1)
Simulated powder X-ray diffraction pattern of BaY2Si2O7F2 for Cu Kα, from a structure optimized by DFT (PBE).
Intensities are scaled so that the largest is 100.

Atomic structure:
```
data_BaY2Si2O7F2
_cell_length_a 5.2268
_cell_length_b 6.9171
_cell_length_c 11.8769
_cell_angle_alpha 92.99
_cell_angle_beta 102.11
_cell_angle_gamma 111.35
_symmetry_space_group_name_H-M 'P -1'
_symmetry_Int_Tables_number 2
_symmetry_space_group_name_Hall '-P 1'
loop_
_atom_site_label
_atom_site_fract_x
_atom_site_fract_y
_atom_site_fract_z
Ba1 0.0956 0.3816 0.2498
Y1 0.1747 0.2022 0.6232
Y2 0.3178 0.1946 0.9558
Si1 0.2718 0.9314 0.2182
Si2 0.3716 0.7513 0.5659
O1 0.0228 0.2722 0.7898
O2 0.1263 0.8524 0.5556
O3 0.1731 0.0581 0.1165
O4 0.2953 0.5538 0.6401
O5 0.3184 0.0695 0.3474
O6 0.4262 0.7024 0.4403
O7 0.4508 0.1217 0.7841
F1 0.2884 0.8276 0.9433
F2 0.3322 0.4813 0.0647
```

Principal peaks in the range 5° ≤ 2θ ≤ 70°, in order of rising 2θ:
26.10°, I 73, hkl 1 0 -3
27.24°, I 64, hkl 1 0 2
27.49°, I 56, hkl 1 1 0
27.98°, I 100, hkl -1 2 1
28.38°, I 35, hkl 1 -2 1
30.11°, I 54, hkl 0 2 1
31.66°, I 35, hkl 1 -2 2
34.32°, I 52, hkl -2 1 1
45.18°, I 38, hkl 1 2 -4
45.84°, I 35, hkl -2 2 4


(2)
Simulated powder X-ray diffraction pattern of Ba2Y3Si2O8F5 for Cu Kα, from a structure optimized by DFT (PBE).
Intensities are scaled so that the largest is 100.

Atomic structure:
```
data_Ba2Y3Si2O8F5
_cell_length_a 8.9926
_cell_length_b 12.8023
_cell_length_c 5.1580
_cell_angle_alpha 90.00
_cell_angle_beta 90.00
_cell_angle_gamma 90.00
_symmetry_space_group_name_H-M 'P b a 2'
_symmetry_Int_Tables_number 32
_symmetry_space_group_name_Hall 'P 2 -2ab'
loop_
_atom_site_label
_atom_site_fract_x
_atom_site_fract_y
_atom_site_fract_z
Ba1 0.1479 0.2078 0.0000
Y1 0.0000 0.5000 0.9880
Y2 0.1770 0.9396 0.5504
Si1 0.0737 0.6573 0.5547
└──

**Request:**
Transcribe the lines above up to the one that holds "_cell_length_a 5.2268", that line included.

**Result:**
Record 1
# BaLiSn3
Calculated powder X-ray diffraction pattern, Cu Kα X-rays. Input: a GGA-PBE-relaxed structure.

Crystal structure
a b c (Å): 4.771 5.189 11.801
angles (deg): 90.00 90.00 90.00
Space group Imm2 (No. 44)
One atom of each set of equivalent atoms:
1 Ba 0.000 0.000 0.000 (multiplicity 2)
2 Li 0.000 0.000 0.636 (multiplicity 2)
3 Sn 0.000 0.000 0.402 (multiplicity 2)
4 Sn 0.000 0.500 0.259 (multiplicity 2)
5 Sn 0.000 0.500 0.745 (multiplicity 2)

Main lines, low angle first (5 to 70 degrees two-theta):
2θ/deg	I_rel	(hkl)
15.0	12	0 0 2
28.5	10	0 1 3
29.4	15	1 0 3
29.6	100	1 1 2
30.3	10	0 0 4
34.6	23	0 2 0
37.7	18	2 0 0
39.9	13	1 1 4
42.1	10	0 1 5
52.1	15	2 2 0
58.9	17	1 3 2
63.1	12	3 1 2

---

Record 2
# PrSn4
Calculated powder X-ray diffraction pattern, Cu Kα X-rays. Input: a GGA-PBE-relaxed structure.

Crystal structure
a b c (Å): 4.695 6.585 18.113
angles (deg): 90.00 90.00 90.00
Space group Imma (No. 74)
One atom of each set of equivalent atoms:
1 Pr 0.000 0.250 0.094 (multiplicity 4)
2 Sn 0.000 0.000 0.500 (multiplicity 4)
3 Sn 0.000 0.014 0.694 (multiplicity 8)
4 Sn 0.000 0.250 0.903 (multiplicity 4)

Main lines, low angle first (5 to 70 degrees two-theta):
2θ/deg	I_rel	(hkl)
31.2	97	1 0 5
33.6	100	1 2 1
38.3	29	2 0 0
40.5	29	0 2 6
50.4	12	0 0 10
51.9	15	2 2 4
57.0	29	2 2 6
64.9	12	3 0 5
65.0	11	2 0 10
65.4	23	1 4 5
66.3	11	3 2 1
66.5	17	1 2 11

---

Record 3
# GaCu2AsO6
Calculated powder X-ray diffraction pattern, Cu Kα X-rays. Input: a GGA-PBE-relaxed structure.

Crystal structure
a b c (Å): 9.705 8.788 5.156
angles (deg): 90.00 97.45 90.00
Space group C2/c (No. 15)
One atom of each set of equivalent atoms:
1 Ga 0.000 0.089 0.250 (multiplicity 4)
2 Cu 0.183 0.409 0.298 (multiplicity 8)
3 As 0.000 0.261 0.750 (multiplicity 4)
4 O 0.102 0.242 0.077 (multiplicity 8)
5 O 0.106 0.090 0.621 (multiplicity 8)
6 O 0.122 0.398 0.640 (multiplicity 8)

Main lines, low angle first (5 to 70 degrees two-theta):
2θ/deg	I_rel	(hkl)
18.4	30	2 0 0
27.5	29	2 2 0
29.6	90	3 1 0
31.3	39	2 2 -1
32.6	28	3 1 -1
34.0	69	2 2 1
35.1	59	0 0 2
36.0	100	1 3 -1
43.5	28	3 1 -2
58.2	30	5 3 -1
62.4	39	5 3 1
62.7	40	1 3 -3

=====

(1)
Simulated powder X-ray diffraction pattern of BaY2Si2O7F2 for Cu Kα, from a structure optimized by DFT (PBE).
Intensities are scaled so that the largest is 100.

Atomic structure:
```
data_BaY2Si2O7F2
_cell_length_a 5.2268